What A Week!!
We were blown away by the response to our photo competition
Over 200 entries!
Some of our judges need just a little more time:
The winners will be poster tomorrow, 15 February 2023
So many happy endings – read about them below...
It has been such joy and privilege to receive so many happy adoption stories this week. My heart is full and humbled at the privilege of being part of these stories as a CatzRus volunteer. - Brenda
Thank you to our adopters for being part of the CatzRus team – we couldn't do this without you. You have the space in your hearts and homes and we have enough cats to fill all the gaps!
We all want to make more happy endings. Here is how every team-member can get involved.
Top 10 ways to help us make more happy endings for the homeless & needy cats and kittens in Pretoria
1. Sterilise a cat – any cat. Simple maths: the more sterilisations, the fewer needy kittens. Be proactive.
2. Adopt responsibly (ensuring that your kitten AND the parent cats are sterilised if at all possible)
3. Foster – we always need more foster homes. It's not about your heart – it's about the kittens.
4. Support our “Spay it Forward” fund. If you don't know a cat that needs to be sterilised, we do!
5. Support our Art Auction. It starts THIS WEEK ON FACEBOOK!
6. Offer to help with the Photo Competition next year! Or with poster-making, video editing, etc
7. Enjoy the happy stories we have enjoyed receiving with the photos this week
and be inspired to make a difference : For the love of cats!
So many Happy Adoption Stories (have your tissues nearby – especially for the last one!)
These are stories received from adopters via email for the 2023 Photo Competition
(Human names removed for privacy – you know who you are, awesome foster moms!)
My kat se naam is Tabitha Dorkas. Sy word Dorkas of Doris genoem. Sy word hierdie jaar 10 jaar oud en is 'n dametjie. Ek het haar 2013 by Glen Veterinary Clinic aangeneem. Catzrus het daar 'n kat shelter gehad. Sy was saam met baba katjies en ek het haar uitgekies. Ek het haar aangeneem 'n maand na my baba katjie, Ryk, se dood, en Dorkas het die leemte in my stukkende hart gevul.
Queenie was found in a drain when she was only a few months old swimming and keeping herself up.
Toby was tiny when he was rescued from a feral situation. He was very weak, dehydrated, cold, and sick. In spite of the poor prognosis, Toby responded well to intense vet care. Since being adopted he’s grown close to service dog, Skye, and the two of them play together daily.
Cloudie and his siblings were found at Gateweay Business Park on Old JHB Road next to China Mall in Centurion. He was very sick with snuffles and only made it through the amazing care of his foster mom, who was soo amazing. I love my Cloudie so much – cannot thank you enough for entrusting him to me.
This is Lil Princess Bunny, we adopted her from her foster mom in September 2013. She arrived one evening and her name was Baby Cat – by the morning we came up with the name Lil Princess bunny, reason being she is missing her right rear paw so she hops like a bunny and also she has a little stump for a tail so it looks like a bunny tail.
Little Drinx was the last of his litter and no one wanted to adopt him because he was shy. But after a few days he made himself welcome and he became the most playful and loving kitten.
Our cute baby Apollo was left next to the busy Rigel Avenue with his brothers and sister. His foster mom helped and took care of the abandoned litter and she placed him with our family
Hi, dit is Cindy. Hulle was gered uit n asblik in Soweto, die rotte het al aan hul begin knaag. Cindy het net n halwe stertjie en omdat haar agterpootjie afgebyt was - moes hul haar been amputeer op 3 maande. Sy was so klein maar so braaf. Die kleintste ou dingetjie maar die grootste vegtersgees. 'n Dag na die operasie staan sy op en begin loop. Het die grootste respek vir haar en haar so baie lief, my baby. Sy word lekker bederf en baie liefde gegee.
Tofu and Kimchi are just over 2 years old. They were found on a farm outside Frankfort in the Free State when they were a few weeks old. Their mother could not be found and did not come looking for her babies. The man who found them knew a super foster mom from Catzrus. I had just moved into a home of my own and knew it needed furbabies to make it complete. I wanted 2 kittens so they could keep each other company on the days I had to work from the office. When I saw their photos being advertised in an adoption group on Facebook I knew I had to have them! I immediately contacted their foster mom. I didn't mind that I had to drive through to Pretoria from Johannesburg, they just had to be mine. Their foster mom did and amazing job looking after and socializing Kimchi and Tofu. They are the friendliest cats in the world. The children in my complex wait for them in the afternoons so they can play with them. Tofu and Kimchi are the best of friends and I'm so glad I could give them a home together.
His fostermom rescued him from her neighbors who kept him in the Wendy house and in their bathroom. Their kids found him at their school. He was severely malnourished and underweight. He had stomach issues and had to be given antibiotics and medications daily for almost a month. Now he is a fat and healthy boy who loves to nap on the couch or cuddle with his brother Helmut.
We adopted Mini (formally Porch) and Eve in January 2021. They were both found in cars, Mini was found with another kittie and Eve was found along with her siblings. We first saw Mini in a Facebook post but when we went to meet him we fell in love with Eve as well and brought them both home.
Patches is the story of a cute free to a good home kitten that becomes unwanted. After giving birth to her first litter of kittens the owner decided he doesn’t want Patches anymore. She was left outside and discarded, soon she fell pregnant again and her owner decided he will be moving and leaving her behind. Very pregnant we stepped in and place her in a shelter, from all the stress Patches gave birth to 3 premature babies. Two died. She was rushed to hospital to do an emergency C section and another tiny premature baby was born. Patches had no milk and emergency care for her surviving kittens started.
Kieriekies and her brother were caught at the epol factory in Pretoria. When he I saw the photo of Yara, my first response was when can I come and get my baby. The foster dad told us that Yara needed a mom and not an owner. And he thought that we would be the perfect parents to this little furr baby. She is such a loving cat.
Rescue story: Gia was saved next to the road in Montana and Daisy was found at a garage in Zambesi
Category one - Gracey and her BEST, BEST friend and the one thing she loves the MOST in the world, her friend the Miniature Schnauzer, Chappie. We got Chappie approx 1 month after Miss Gracey and they have been best friends since day one. This picture was taken right after Chappie was discharged from the hospital, he was born with a liver shunt and was hospitalized quite often.... Miss Gracey missed him a lot during these times! She however nursed him 24/7 when he got home.
She was severely malnourished, diarrhea and snuffels. She was a teeny little kitten abandoned behind a skip at Spar. She does not trust anybody except my son. She occasionally comes to me for a little rub, but for the rest she prefers her own space. She does not go out of the house and hides away if we have guests.
**These data records were left in the article by mistake:**
~~~
HoCu2O4: computed powder diffraction line list (Cu Kα, 1.54184 Å), based on a crystal structure in Alexandria, relaxed with GGA-PBE.

Structural model:
```
HoCu2O4
1.0
-2.8370 2.8370 4.8087
2.8370 -2.8370 4.8087
2.8370 2.8370 -4.8087
Ho Cu O
2 4 8
direct
0.3750 0.1250 0.2500
0.6250 0.8750 0.7500
0.0000 0.0000 0.5000
0.0000 0.5000 0.0000
0.0000 0.5000 0.5000
0.5000 0.5000 0.0000
0.0292 0.7210 0.8952
0.2210 0.8258 0.6919
0.3258 0.1340 0.6048
0.3660 0.4708 0.1919
0.6340 0.5292 0.8081
0.6742 0.8660 0.3952
0.7790 0.1742 0.3081
0.9708 0.2790 0.1048
```

Main lines, by angle (2θ = 5–70°):
2θ (°)	I/Imax
28.98	59
31.54	15
32.07	51
36.63	100
36.78	22
50.07	22
54.59	28
56.49	17
59.52	21
60.06	29


Tc3Pt2: computed powder diffraction line list (Cu Kα, 1.54184 Å), based on a crystal structure in Alexandria, relaxed with GGA-PBE.

Structural model:
```
Tc3Pt2
1.0
1.3799 0.7967 11.3181
-1.3799 0.7967 11.3181
0.0000 -1.5934 11.3181
Tc Pt
3 2
direct
0.0000 0.0000 0.0000
0.1977 0.1977 0.1977
0.8023 0.8023 0.8023
0.3995 0.3995 0.3995
0.6005 0.6005 0.6005
```

Main lines, by angle (2θ = 5–70°):
2θ (°)	I/Imax
7.81	8
15.66	10
23.58	9
37.73	5
39.16	6
39.82	33
39.99	100
46.46	65
67.70	21
67.93	21


Pa3Ru2Rh2: computed powder diffraction line list (Cu Kα, 1.54184 Å), based on a crystal structure in Alexandria, relaxed with GGA-PBE.

Structural model:
```
Pa3Ru2Rh2
1.0
-4.1178 4.1178 4.1178
4.1178 -4.1178 4.1178
4.1178 4.1178 -4.1178
Pa Ru Rh
6 4 4
direct
0.1336 0.7500 0.8836
0.2500 0.6164 0.3664
0.3664 0.2500 0.6164
0.6164 0.3664 0.2500
0.7500 0.8836 0.1336
0.8836 0.1336 0.7500
0.0000 0.3435 0.5000
0.1565 0.1565 0.1565
0.3435 0.5000 0.0000
0.5000 0.0000 0.3435
0.0000 0.8242 0.5000
0.5000 0.0000 0.8242
0.6758 0.6758 0.6758
0.8242 0.5000 0.0000
```

Main lines, by angle (2θ = 5–70°):
2θ (°)	I/Imax
26.51	44
30.71	4
34.44	100
41.01	77
49.50	29
52.09	19
54.59	11
57.02	17
61.69	8
66.16	2


DyTm8Sc6: computed powder diffraction line list (Cu Kα, 1.54184 Å), based on a crystal structure in Alexandria, relaxed with GGA-PBE.

Structural model:
```
DyTm8Sc6
1.0
4.6318 2.6742 5.7275
-4.6318 2.6742 5.7275
0.0000 -5.3484 5.7275
Dy Tm Sc
1 8 6
direct
0.0000 0.0000 0.0000
0.0687 0.6368 0.7721
0.2279 0.9313 0.3632
0.3632 0.2279 0.9313
0.4100 0.4100 0.4100
0.5900 0.5900 0.5900
0.6368 0.7721 0.0687
0.7721 0.0687 0.6368
0.9313 0.3632 0.2279
0.0582 0.2899 0.6114
0.2899 0.6114 0.0582
0.3886 0.9418 0.7101
0.6114 0.0582 0.2899
0.7101 0.3886 0.9418
0.9418 0.7101 0.3886
```

Main lines, by angle (2θ = 5–70°):
2θ (°)	I/Imax
15.47	19
28.25	24
29.92	40
31.28	100
36.26	35
36.90	12
37.10	14
52.23	35
54.83	12
62.13	31


Y3TmSb2: computed powder diffraction line list (Cu Kα, 1.54184 Å), based on a crystal structure in Alexandria, relaxed with GGA-PBE.

Structural model:
```
Y3TmSb2
1.0
4.4683 0.0000 0.0000
0.0000 4.4683 0.0000
0.0000 0.0000 8.4469
Y Tm Sb
3 1 2
direct
0.0000 0.0000 0.0000
0.0000 0.5000 0.6492
0.5000 0.0000 0.3508
0.5000 0.5000 0.0000
0.0000 0.5000 0.2786
0.5000 0.0000 0.7214
```
~~~
Shes a small 1year old. She gets along with our dogs and loves our other cat, Gizmo! Shes got the biggest 'owl-like' eyes and it can give you a big fright if she sits and stares at you in the dark!!!!
Mango had a rough start to life due to sustaining a facial nerve injury on the left side as a kitten (possibly due to a dog bite). He had to undergo surgery to remove his left eardrum. Although he had a rough start, he is now the sweetest cat. Fred was found with a feral colony of other cats. Although he tried to blend with the other cats, they did not completely accept him. He was very scared at first and with months of trying, he foster mom was able to gain his trust with food. He will still do anything for food and treats.
Nando was found outside a Nando’s restaurant in Pretoria when he was only a few weeks old. He had ringworm all over, but his foster mom took amazing care of him and cleaned him up. He is now a very playful, energetic, and affectionate little boy. He loves exploring outside, playing in his tunnel, going for walks, and snuggling.
Wash is a male silver marble tabby and is two and half years old. We adopted him in September 2020. He was a little older than others he was rescued with but with his foster-mom's kindness and patience, she got him ready for adoption. We were told he was rescued with about 30 other cats from a lady who had passed away and they were all left behind.
Please meet Phoenix, he was adopted last March. We had lost our previous adopted boy in January and wanted to give a loving home to a new baby. He is an absolute joy and brings so much love to our family, we just love him to bits.
Tipsy was rescued from a factory where the factory workers was beating the cats, she was extremely shy towards humans and only trusted cats, with a lot of patience and love she now trust us to love and pet her. Such a soft soul, we just love her to bits.
Benji and Ice were adopted together as they get along very well and are attached to one another. Ice was adopted with his own teddy bear and blanket. He still sucks his teddy bear every now and then to find some extra love and comfort..
After heavy rain, Naruto was found in a water pipe at a school. We are so blessed with him. Here is a picture of him with his favourite blanket he got from his foster mom.
Simi had a rough experience before we got her. She was adopted by another mommy not long before we got to meet her, but this mommy didn't know how to work with a little baby. Simi was left alone most of the day and when she had an oepsie, she was taken back to her foster Mom, and she was told that she is not house trainable.
We met her a mere week after she was taken back, she was the sweetest little kitten, so lovable and playful. Crawled up on my lap within the first half hour and I knew this was my baby. She just turned 5 months old a week ago and we haven't had any oepsies since the day we adopted her!
Abandoned in a reserve. The person who discarded him, gave me one of my biggest gifts EVER!
Kitty is called Alex, he is about 1.5 - 2 years (hard to tell), and is a male :) He was very sick and had his one hind leg removed, but I fell in love with him before I even met him- you guys posted a video and I just knew :) When he was out of the woods, I went to meet him and I loved him even more. A little while later his foster mom brought him over and our adventure began.
Rescue story: She was rescued from the streets when she was new born baby. She was so small and malnourished that the rescuers could not see if she was a dog or a cat. She was so tiny and fragile. Her foster mom had a mommy cat (her name was May) with babies that adopted Jupiter and raised her as her own.
Sushi, male, adopted June 2022 - was dropped off at vet because he was walking in circles (was only a ear infection). Noodles, Female - adopted June 2022 - was dropped off at vet and was squint and grew out of it. They just Love their hoomans and hooman babies, lots of cuddles and even when little sister is sick her noodle makes sure she feels better!
"Annie" now MAYA was found dumped at the generators in Wonderboom somewhere and had trust issues, scared etc. Maya is now the most content kitten, calm, sweet, loving, comfortable in any area of the house with all the family members. She no longer hides under the bed. Plays with all her toys, sleeps wherever the mood takes her. Although she does have her favourite " blankie" that she cuddles and kneeds especially at bedtime.
Quinne (renamed Atari, like the gaming console, because she's always ready to play) We initially wanted a black grown up kitty because they are always pushed aside. But then we heard of little Quinne's misadventures of being found in a factory and almost being drowned! NOT ON MY WATCH! We went to visit her, she was shy and scared. Took her a whole week to come out from under our bed and almost two more to finally trust us. Now she doesn't leave mine or my hubby's side. She sleeps with us. Sits with us when we are cooking, watching TV, even brushing our teeth. She is very active in the early mornings, and only likes rubs on her terms. She's recently become more vocal and let's us know when she wants a snack or to play outside. She's a sassy girl and our whole world.
Our Lil Pixie was adopted August 2020. It was love at first sight. I saw her on FaceBook and knew she had to join our household. We fell head over heels with this little baby girl. She was quite ill and we didn't know if we will ever get her. The vet called her Patrica (the stripper) ... The funniest was when he removed her stitches when she was sterilized and commented - "Now Patricia lost her Nylons" Our beautiful girl is the Queen of this house hold. She is ruling everyone, she rules the hoomans and and our feral cat Coco and our rescue cat Peanut.
She is always full of beans and the most playful angel. She chases everyone and everything. She demands attention most of the time. She added value to our lives. There is never a dull moment with her around. Pixie has the cutest face and look at her whiskers ....adorable.
The grey cat is Monty, he is male and is about 14 years old now. We adopted him from CatsRUs in 2009. He was found in a gutter before making it to CatsRUs.
This is Ozzy, he is a Domestic Medium Hair, Male. I adopted him in 2014 from CatzRus. He is the blood brother of the late Willemien who was one of the resident cats of the Glen Veterinary Clinic.
I would have originally adopted Willemien but when I got to the clinic and saw Ozzy, I think he chose me so I changed my choice. I think if I remember correctly him and his siblings were dumped in a box.
She is 7 years old, born around the 3 September 2015. She was found with a few of her siblings behind a shed, her mom and some siblings were killed by a dog, they were only a few days old still with their eyes closed.
When I saw Catia up for adoption I immediately fell in love with her. She is one of 3 siblings, her and her brother were born without tails and her sister had a very long tail which indicated that they are Manx cats.
She is the most adorable cat ever with no tail. It makes her look even cuter, She is smaller than your average cat and has a personality to match.
Mina was found with her siblings inside a big flower pot, outside someone's house. Her mom was a stray. No one wanted the black kitty, all her siblings had found new owners. I saw her being advertised for 2 weeks and decided I had to take her.
When our sweet Alex was diagnosed with terminal bone cancer in early 2021, we decided to adopt a friend for his brother Merlin. We reached out to CatzRus and received the cutest pics from the foster mom, who was fostering a little brother and sister, about 4 weeks old at the time. We immediately fell in love with Nala, but saw this sweet little boy with her – her brother, Leo. We decided to adopt the pair, and my gosh, how that decision has changed our lives. Our babies are gorgeous, loving, well-adjusted and the most amazing friends, to each other and to Grandpa Merlin the grouch. They’re an absolute joy, who love to play and cuddle, and they melt your heart with love every time you look at them.
Little Ruby, we adopted you from your foster mom in, I think, 2017. We saw photo's on the CatzRus Facebook page of you and your siblings. We decided to adopt your sister Regina but fell in love with you from the moment we saw you. You and your siblings were rescued from a factory in Silverton. You were so scared and had little trust in people. We took you home and it took a long time to gained your trust. But now you love your mom and you mom loves you so much. You are talkative and friendly and the thing you love most is to sleep on you mom's chest. We love you little Ruby. Thank you CatzRus for not giving up on her.